This API uses a MongoDB database setup on local machine.
Install MongoDB on Linux/Ubuntu
To start MongoDB on Linux/Ubuntu :
$ sudo service mongod start
To check MongoDB status
$ service mongod status
● mongod.service - High-performance, schema-free document-oriented database
Loaded: loaded (/lib/systemd/system/mongod.service; disabled; vendor preset: enabled)
Active: active (running) since Tue 2019-06-11 08:28:03 IST; 3min 46s ago
Main PID: 5580 (mongod)
Tasks: 19
Memory: 53.0M
CPU: 3.082s
CGroup: /system.slice/mongod.service
└─5580 /usr/bin/mongod --quiet --config /etc/mongod.conf
Jun 11 08:28:03 penthaa systemd[1]: Started High-performance, schema-free document-oriented database.
type Food struct {
ID primitive.ObjectID `json:"_id,omitempty" bson:"_id,omitempty"`
Name string `json:"name" bson:"name"`
Energy int `json:"energy" bson:"energy"`
Protein float64 `json:"protein" bson:"protein"`
Fat float64 `json:"fat" bson:"fat"`
### The article is interrupted by calculated crystals
____________
This entry pairs a crystal structure of PdAu with its simulated X-ray diffraction stick pattern. Radiation: Cu Kα, 1.54184 Å. Structure: a structure optimized by DFT (GGA-PBE).
Kinematic intensities with the Lorentz-polarization factor, no thermal factor.

Most intense lines, 10° ≤ 2θ ≤ 80°, by angle:
- 36.25 deg, I = 29, hkl 1 0 0
- 38.12 deg, I = 27, hkl 0 0 2
- 41.14 deg, I = 100, hkl 1 0 1
- 53.62 deg, I = 19, hkl 1 0 2
- 70.95 deg, I = 20, hkl 1 0 3
- 78.12 deg, I = 20, hkl 1 1 2

Structural model:
Cell lengths 2.8611, 2.8611, 4.7212 Å; angles 90.00, 90.00, 120.00 degrees
Space group P-6m2 (No. 187)
Asymmetric unit:
Pd 0.0000 0.0000 0.0000
Au 0.3333 0.6667 0.5000


This entry pairs a crystal structure of Pd7Au5 with its simulated X-ray diffraction stick pattern. Radiation: Cu Kα, 1.54184 Å. Structure: a structure optimized by DFT (GGA-PBE).
Kinematic intensities with the Lorentz-polarization factor, no thermal factor.

Most intense lines, 10° ≤ 2θ ≤ 80°, by angle:
- 37.70 deg, I = 62, hkl 0 2 0
- 40.89 deg, I = 100, hkl 3 1 1
- 54.38 deg, I = 22, hkl 0 2 4
- 70.21 deg, I = 30, hkl 3 3 1
- 70.26 deg, I = 10, hkl 3 3 -3
- 76.53 deg, I = 16, hkl 6 0 2

Structural model:
Cell lengths 8.754, 4.770, 9.981 Å; angles 90.00, 106.93, 90.00 degrees
Space group C2/m (No. 12)
Asymmetric unit:
Pd 0.000 0.000 0.000
Pd 0.082 0.000 0.748
Pd 0.083 0.500 0.251
Pd 0.167 0.000 0.502
Au 0.000 0.500 0.500
Au 0.166 0.500 0.001
Au 0.248 0.000 0.252


This entry pairs a crystal structure of Pd3Au7 with its simulated X-ray diffraction stick pattern. Radiation: Cu Kα, 1.54184 Å. Structure: a structure optimized by DFT (GGA-PBE).
Kinematic intensities with the Lorentz-polarization factor, no thermal factor.

Most intense lines, 10° ≤ 2θ ≤ 80°, by angle:
- 38.07 deg, I = 100, hkl 5 1 0
- 43.66 deg, I = 17, hkl 0 2 0
- 44.17 deg, I = 17, hkl 6 0 -2
- 44.90 deg, I = 16, hkl 4 0 2
- 76.46 deg, I = 13, hkl 5 3 0
- 77.18 deg, I = 13, hkl 11 1 -2

Structural model:
Cell lengths 14.717, 4.146, 5.754 Å; angles 90.00, 102.17, 90.00 degrees
Space group C2/m (No. 12)
Asymmetric unit:
Pd 0.000 0.000 0.000
Pd 0.200 0.000 0.603
Au 0.000 0.000 0.500
Au 0.100 0.500 0.803
Au 0.102 0.500 0.305
Au 0.200 0.000 0.106


This entry pairs a crystal structure of Pd2Au5 with its simulated X-ray diffraction stick pattern. Radiation: Cu Kα, 1.54184 Å. Structure: a structure optimized by DFT (GGA-PBE).
Kinematic intensities with the Lorentz-polarization factor, no thermal factor.

Most intense lines, 10° ≤ 2θ ≤ 80°, by angle:
- 34.63 deg, I = 42, hkl 1 1 2
- 37.70 deg, I = 40, hkl 1 5 0
- 38.54 deg, I = 99, hkl 2 4 0
- 40.98 deg, I = 100, hkl 2 0 2
- 42.46 deg, I = 93, hkl 0 4 2
- 63.52 deg, I = 38, hkl 3 5 2

Structural model:
Cell lengths 6.885, 12.719, 5.731 Å; angles 90.00, 90.00, 90.00 degrees
Space group Ibam (No. 72)
Asymmetric unit:
Pd 0.212 0.115 0.000
Au 0.000 0.270 0.250
Au 0.000 0.500 0.250
Au 0.193 0.105 0.500
____________
Carbohydrate float64 `json:"carbohydrate" bson:"carbohydrate"`
Sugars float64 `json:"sugars" bson:"sugars"`
DietaryFibre float64 `json:"dietary-fibre" bson:"dietary-fibre"`
Sodium float64 `json:"sodium" bson:"sodium"`
Run go run main.go
to get started
curl -d '{"name": "Tahini","energy": 2760,"protein": 25.6,"fat": 57.3,"carbohydrate": 12,"sugars": 1,"dietary-fibre": 0,"sodium": 7}' -X POST http://localhost:5000/api
Sample Output:
"InsertedID": "5cff1a95ca89a0ba83d68518"
curl -X GET http://localhost:5000/api
Sample output:
"_id": "5cfe72bef015083bfbce0100",
"name": "Almond milk",
"energy": 1560,
"protein": 12.3,
"fat": 9.9,
"carbohydrate": 51.7,
"sugars": 19.7,
"dietary-fibre": 13,
"sodium": 6
"_id": "5cfe77d4ff6c88b7b5fd05ce",
"name": "Hummus",
"energy": 709,
"protein": 8.4,
"fat": 10.8,
"carbohydrate": 4.6,
"sugars": 0.6,
"dietary-fibre": 11,
"sodium": 378
"_id": "5cfeb87611315a2ebc123215",
"name": "Muesli (Almond)",
"energy": 1560,
"protein": 12.3,
"fat": 9.9,
"carbohydrate": 51.7,
"sugars": 19.7,
"dietary-fibre": 13,
"sodium": 6
"_id": "5cff02d08394d5bf52a49eaa",
"name": "Yellow Sweet Corn",
"energy": 86,
"protein": 3.22,
"fat": 1.8,
"carbohydrate": 19.02,
"sugars": 3.22,
"dietary-fibre": 2.7,
"sodium": 15
"_id": "5cff1a95ca89a0ba83d68518",
"name": "Tahini",
"energy": 2760,
"protein": 25.6,
"fat": 57.3,
"carbohydrate": 12,
"sugars": 1,
"dietary-fibre": 0,
"sodium": 7
curl -X GET http://localhost:5000/api/find/5cfeb87611315a2ebc123215
Sample output:
"_id": "5cfeb87611315a2ebc123215",
"name": "Muesli (Almond)",
"energy": 1560,
"protein": 12.3,
"fat": 9.9,
"carbohydrate": 51.7,
"sugars": 19.7,
"dietary-fibre": 13,
"sodium": 6
curl -X DELETE http://localhost:5000/api/delete/5cfeb87611315a2ebc123215
Sample Output: Shows the deleted data.
"_id": "5cfeb87611315a2ebc123215",
"name": "Muesli (Almond)",
"energy": 1560,
"protein": 12.3,
"fat": 9.9,
"carbohydrate": 51.7,
"sugars": 19.7,
"dietary-fibre": 13,
"sodium": 6
curl -d '{"name": "Almond milk","energy": 1612,"protein": 13,"fat": 10,"carbohydrate": 52,"sugars": 20,"dietary-fibre": 14,"sodium": 6}' -X PUT http://localhost:5000/api/update/5cfe72bef015083bfbce0100
Sample Output: Shows the updated data.
"_id": "5cfe72bef015083bfbce0100",
"name": "Almond milk",
"energy": 1612,
"protein": 13,
"fat": 10,
"carbohydrate": 52,
"sugars": 20,
"dietary-fibre": 14,
"sodium": 6